What to do >
Transcribe all of the data further below without additions.
File >
Diffraction record for La3Tb. The powder X-ray diffraction pattern is theoretical, not measured: it uses DFT lattice parameters and positions (GGA-PBE) and a wavelength of 1.5418 Å.
Neutral-atom scattering factors, no anomalous dispersion.

Cell and atoms:
Cell: 6.451 6.451 6.451 Å, 132.10 132.10 70.06°
Element x y z (fractional)
La (0.000, 0.000, 0.000)
La (0.250, 0.750, 0.500)
La (0.750, 0.250, 0.500)
Tb (0.500, 0.500, 0.000)

Top 10 peaks for 10° ≤ 2θ ≤ 90°, in order of rising 2θ:
d/Å  2θ (°)  Rel. int.
3.032  29.46  100
2.641  33.94  17
2.619  34.24  34
1.860  48.98  24
1.852  49.21  12
1.590  58.00  15
1.580  58.39  29
1.516  61.12  13
1.206  79.44  12
1.202  79.78  6
Solution >
Diffraction record for La3Tb. The powder X-ray diffraction pattern is theoretical, not measured: it uses DFT lattice parameters and positions (GGA-PBE) and a wavelength of 1.5418 Å.
Neutral-atom scattering factors, no anomalous dispersion.

Cell and atoms:
Cell: 6.451 6.451 6.451 Å, 132.10 132.10 70.06°
Element x y z (fractional)
La (0.000, 0.000, 0.000)
La (0.250, 0.750, 0.500)
La (0.750, 0.250, 0.500)
Tb (0.500, 0.500, 0.000)

Top 10 peaks for 10° ≤ 2θ ≤ 90°, in order of rising 2θ:
d/Å  2θ (°)  Rel. int.
3.032  29.46  100
2.641  33.94  17
2.619  34.24  34
1.860  48.98  24
1.852  49.21  12
1.590  58.00  15
1.580  58.39  29
1.516  61.12  13
1.206  79.44  12
1.202  79.78  6